Activity
Find the line further below that holds "(-5.2723, 1.9211,", then return that line and all lines after it there.

Excerpt
No. 1
The following is a DFT calculation (the ωB97M-V functional and the def2-TZVPD basis) of C24H23N10O4PRuS2 as an isolated structure.

Last column: natural (NBO) charge in e.
Element x y z (Å)
Ru (-0.3770, -0.9364, -1.0654)  1.2864
C (-0.9593, -2.9769, 4.0976)  -0.3987
N (-0.5100, -3.0184, 2.7195)  -0.3293
C (-0.6638, -4.0842, 1.8752)  -0.0848
C (-0.1398, -3.7066, 0.6754)  -0.0477
N (0.3311, -2.4267, 0.7687)  -0.4902
C (0.1048, -2.0335, 2.0104)  0.0699
P (0.6892, -0.5387, 2.8298)  0.7098
C (2.4172, -0.4859, 2.2654)  0.0515
N (2.8653, -0.4447, 1.0330)  -0.4066
C (4.2234, -0.4050, 1.1256)  -0.0843
C (4.6060, -0.4259, 2.4397)  -0.0973
N (3.4497, -0.4757, 3.1689)  -0.3456
C (3.3754, -0.5141, 4.6159)  -0.3976
C (0.0252, 0.8325, 1.8599)  0.0678
N (0.0597, 0.9762, 0.5476)  -0.4675
C (-0.1845, 2.2975, 0.3003)  -0.0586
C (-0.3944, 2.9527, 1.4779)  -0.0882
N (-0.2582, 2.0215, 2.4681)  -0.3333
C (-0.4271, 2.2812, 3.8845)  -0.4009
H (-1.6379, -3.8121, 4.2531)  0.2173
H (-0.1231, -3.0586, 4.7918)  0.2005
H (-1.5002, -2.0536, 4.2917)  0.2197
H (-1.1596, -4.9857, 2.1898)  0.2147
H (-0.1216, -4.2360, -0.2602)  0.2664
H (4.8454, -0.3677, 0.2472)  0.2149
H (5.5722, -0.4107, 2.9136)  0.2080
H (4.3899, -0.5526, 5.0061)  0.2112
H (2.8807, 0.3745, 5.0065)  0.2067
H (2.8356, -1.3972, 4.9540)  0.2107
H (-0.2150, 2.6874, -0.6997)  0.2409
H (-0.6450, 3.9771, 1.6914)  0.2152
H (-1.0802, 3.1436, 3.9985)  0.2157
H (-0.8932, 1.4261, 4.3669)  0.2236
H (0.5291, 2.4878, 4.3666)  0.1994
C (-2.9549, 1.3629, -1.3060)  -0.6603
C (-1.9426, 1.7293, -2.3511)  0.2044
C (-2.2240, 2.7496, -3.2332)  -0.2809
C (-1.2907, 3.1121, -4.1921)  -0.1920
C (-0.0792, 2.4211, -4.2803)  -0.1003
C (0.9133, 2.7568, -5.2278)  -0.2757
C (2.1064, 2.0349, -5.3089)  -0.2471
C (2.3204, 0.9708, -4.4732)  -0.1950
C (1.3503, 0.5848, -3.4983)  -0.4608
S (1.6571, -0.8407, -2.6365)  0.5577
C (0.1293, 1.3291, -3.3610)  0.3318
N (-0.7677, 1.0466, -2.3945)  -0.5847
H (-3.3747, 2.2624, -0.8506)  0.2130
H (-2.5292, 0.7530, -0.5163)  0.2315
H (-3.7856, 0.8024, -1.7421)  0.2347
H (-3.1764, 3.2594, -3.1590)  0.2053
H (-1.4898, 3.9200, -4.8868)  0.1954
H (0.7195, 3.5872, -5.8965)  0.1902
H (2.8551, 2.3087, -6.0426)  0.1976
H (3.2274, 0.3849, -4.5441)  0.2050
N (-2.3101, -1.4860, -0.0011)  -0.7033
C (-3.4752, -1.5464, -0.0817)  0.5936
N (-4.7497, -1.6796, -0.1357)  -0.6980
C (-5.5333, -0.7462, 0.3651)  0.4473
N (-6.2940, 0.0171, 0.7950)  -0.5191
O (-0.3280, -3.2504, -2.1072)  -1.0457
S (-0.3454, -2.6896, -3.4710)  2.5806
O (-0.5315, -3.6277, -4.5328)  -0.9538
O (1.1722, -2.1463, -3.6828)  -0.8897
O (-1.1792, -1.4911, -3.4623)  -1.0011

2S+1	6
frontier orbital gap (spin up / spin down)	3.974 / 6.969	eV
net charge	-1
LUMO energy (spin up / spin down)	1.76 / 1.76	eV
<S²>	8.791

=====

No. 2
The following is a DFT calculation (the ωB97M-V functional and the def2-TZVPD basis) of one molecule with the formula C24H23N3O5.

Last column: natural (NBO) charge in e.
Element x y z (Å)
H (4.6615, 2.9898, -0.0642)  0.3841
N (3.7527, 2.7069, -0.2227)  -0.6583
C (3.5870, 1.6612, 0.1364)  0.5472
C (2.2118, 0.8134, 0.4785)  -0.3485
C (1.1658, 1.5992, 0.2886)  -0.0159
C (-0.2896, 1.5157, 0.5064)  -0.1005
C (-1.1112, 2.3695, -0.1156)  -0.1163
C (-2.4193, 2.4200, -0.4051)  -0.3777
C (-3.0931, 1.4579, 0.3865)  0.3537
O (-4.3388, 1.1781, 0.5230)  -0.4706
C (-5.2723, 1.9211, -0.4676)  -0.1114
C (-5.0322, 1.1973, -1.9713)  -0.0394
O (-4.9352, -0.4854, -1.9353)  -0.5142
C (-3.8056, -0.8786, -1.3507)  0.2742
C (-4.0338, -2.0910, -0.7009)  -0.2669
C (-3.0175, -2.8576, -0.0178)  -0.1816
C (-1.6120, -2.6540, -0.4519)  -0.0396
C (-0.5895, -3.1905, 0.1279)  -0.6618
C (-1.5005, -1.4419, -1.2459)  -0.1834
C (-2.4282, -0.5281, -1.8381)  -0.2236
C (-2.2073, 0.5530, 1.2821)  0.3277
O (-2.8067, -0.1905, 2.0489)  -0.4724
C (-2.1965, -1.1728, 2.9830)  -0.2362
C (-0.8614, 0.4967, 1.1255)  -0.3513
C (2.0729, -0.4834, 1.1243)  0.6946
O (1.2467, -1.0799, 1.6195)  -0.5210
N (3.2984, -1.4550, 0.5855)  -0.5557
C (4.1829, -0.7312, 0.0649)  0.3772

Written answer
C (-5.2723, 1.9211, -0.4676)  -0.1114
C (-5.0322, 1.1973, -1.9713)  -0.0394
O (-4.9352, -0.4854, -1.9353)  -0.5142
C (-3.8056, -0.8786, -1.3507)  0.2742
C (-4.0338, -2.0910, -0.7009)  -0.2669
C (-3.0175, -2.8576, -0.0178)  -0.1816
C (-1.6120, -2.6540, -0.4519)  -0.0396
C (-0.5895, -3.1905, 0.1279)  -0.6618
C (-1.5005, -1.4419, -1.2459)  -0.1834
C (-2.4282, -0.5281, -1.8381)  -0.2236
C (-2.2073, 0.5530, 1.2821)  0.3277
O (-2.8067, -0.1905, 2.0489)  -0.4724
C (-2.1965, -1.1728, 2.9830)  -0.2362
C (-0.8614, 0.4967, 1.1255)  -0.3513
C (2.0729, -0.4834, 1.1243)  0.6946
O (1.2467, -1.0799, 1.6195)  -0.5210
N (3.2984, -1.4550, 0.5855)  -0.5557
C (4.1829, -0.7312, 0.0649)  0.3772